### Source
Entry 1:
Below is 8 unconnected molecules or ions with the total composition C28H75N3O13, with properties calculated with wB97M-V/def2-TZVPD.

Geometry as XYZ:
```
119
C28H75N3O13, DFT wB97M-V/def2-TZVPD
C 4.60 -2.25 1.73
O 3.99 -3.44 1.37
C 4.28 -3.92 0.10
C 3.49 -5.21 0.00
N 3.69 -5.68 -1.36
C 2.70 -5.45 -2.24
C 2.82 -6.21 -3.55
O 1.86 -6.48 -4.28
C 1.51 -5.63 -5.32
H 4.19 -1.68 2.56
H 4.64 -1.58 0.98
H 5.64 -2.33 1.94
H 5.42 -3.93 -0.15
H 3.85 -3.20 -0.63
H 2.52 -4.78 0.24
H 3.81 -5.99 0.69
H 4.06 -6.57 -1.32
H 2.66 -4.27 -2.45
H 1.77 -5.77 -1.79
H 3.27 -7.11 -3.22
H 3.58 -5.73 -4.20
H 1.33 -4.65 -4.93
H 0.69 -6.10 -5.83
H 2.19 -5.62 -6.12
C 2.72 -2.58 -5.06
O 2.38 -1.37 -4.47
C 3.15 -1.01 -3.36
C 2.90 0.42 -2.85
N 3.76 0.85 -1.76
C 3.28 0.48 -0.47
C 4.14 1.06 0.62
O 3.79 1.17 1.81
C 4.79 1.29 2.81
H 2.74 -3.33 -4.33
H 3.71 -2.51 -5.49
H 2.08 -2.79 -5.91
H 4.20 -1.08 -3.68
H 2.99 -1.68 -2.51
H 1.83 0.63 -2.66
H 3.18 0.97 -3.79
H 3.72 1.83 -1.79
H 3.17 -0.58 -0.23
H 2.30 0.81 -0.34
H 4.22 2.10 0.35
H 5.02 0.63 0.63
H 5.37 0.33 2.84
H 4.31 1.15 3.75
H 5.44 2.23 2.84
C -1.85 2.08 2.67
O -3.16 2.49 3.01
C -3.87 3.24 1.98
C -4.92 4.11 2.77
N -5.90 4.91 2.10
C -7.13 5.09 2.91
C -8.15 5.63 2.03
O -9.29 5.79 2.57
C -10.37 6.44 1.74
H -1.48 1.48 3.44
H -1.05 2.83 2.66
H -1.61 1.40 1.82
H -4.44 2.56 1.34
H -3.15 3.94 1.52
H -4.24 4.84 3.28
H -5.30 3.39 3.48
H -5.49 5.76 1.65
H -7.00 5.61 3.88
H -7.51 4.09 3.16
H -8.33 4.92 1.25
H -7.82 6.60 1.72
H -10.23 7.36 1.32
H -11.37 6.46 2.17
H -10.38 5.75 0.86
C -0.12 -1.23 2.52
C 1.16 -1.57 2.03
O 1.25 -2.94 1.71
H -0.81 -1.42 1.69
H -0.24 -0.09 2.66
H -0.44 -1.67 3.49
H 1.95 -1.29 2.82
H 1.32 -0.82 1.20
H 2.12 -3.12 1.45
C 0.00 1.99 -0.91
C -0.86 1.70 -2.01
O -2.17 1.36 -1.46
H -0.59 2.72 -0.33
H 0.90 2.42 -1.26
H 0.17 1.03 -0.42
H -0.39 1.01 -2.72
H -0.94 2.57 -2.69
H -2.88 2.00 -1.66
C -0.21 -1.78 -1.65
C 0.08 -3.23 -2.01
O -1.00 -3.88 -2.63
H -0.46 -1.66 -0.59
H -0.96 -1.35 -2.34
H 0.75 -1.31 -1.81
H 0.51 -3.78 -1.18
H 0.85 -3.24 -2.77
H -1.04 -4.79 -2.26
C -3.51 -0.33 0.71
C -4.28 -0.74 -0.48
O -3.47 -0.97 -1.56
O -4.29 -0.50 1.84
H -3.31 0.66 0.70
H -2.62 -0.93 0.96
H -4.91 0.12 -0.78
H -4.84 -1.63 -0.09
H -2.87 -0.25 -1.72
H -4.00 0.10 2.51
C 1.74 3.27 1.91
C 2.21 3.70 3.14
O 2.45 5.09 3.12
O 1.31 1.92 2.01
H 2.48 3.38 1.14
H 0.83 3.93 1.61
H 3.09 3.11 3.46
H 1.42 3.65 3.93
H 2.86 5.29 2.28
H 2.06 1.32 1.96
```

Computed properties:
- 2S+1: 1
- E: -61325.1963 eV
- Kohn-Sham gap: 8.88 eV
- Relative energy (zero: lowest compared OMol25 entry of this formula, charge and spin): 199.21 kcal per mole
- SMILES: COCCNCCOC.COCCNCCOC.COCCNCCOC.OCCO.OCCO.CCO.CCO.CCO
- Maximum force: 10.671 eV/A

Löwdin population analysis, charges in e, atoms 1 to 2:
1 C -0.11
2 O -0.19


Entry 2:
Below is 8 unconnected molecules or ions with the total composition C28H76N12O12, with properties calculated with wB97M-V/def2-TZVPD.

Geometry as XYZ:
```
128
C28H76N12O12, DFT wB97M-V/def2-TZVPD
C -6.11 22.87 14.35
O -5.95 22.57 15.51
N -5.10 23.10 13.61
N -7.28 23.06 13.76
H -4.17 23.05 14.05
H -5.20 23.64 12.71
H -8.08 22.87 14.47
H -7.33 23.85 13.08
C -7.35 21.48 10.60
O -6.16 21.52 10.70
N -7.93 21.12 9.56
N -8.11 21.87 11.58
H -7.29 20.78 8.80
H -8.92 21.41 9.43
H -7.74 22.19 12.51
H -9.11 21.80 11.45
C -6.53 25.11 11.30
O -6.41 26.27 11.18
N -7.58 24.54 11.71
N -5.48 24.34 11.08
H -8.42 25.18 11.81
H -7.76 23.55 11.51
H -4.73 24.83 10.57
H -5.62 23.41 10.90
C -1.77 22.31 12.48
O -0.57 22.32 12.32
N -2.50 21.35 13.00
N -2.53 23.38 12.30
H -2.18 20.48 13.27
H -3.47 21.38 13.00
H -1.90 24.19 11.92
H -3.48 23.59 12.24
C -14.07 18.02 9.76
O -13.24 18.12 10.72
C -13.17 19.44 11.21
C -12.22 19.41 12.40
N -12.11 20.73 13.01
C -10.94 20.92 13.84
C -10.92 22.36 14.29
O -9.74 22.72 14.97
C -9.25 21.93 16.12
H -14.16 16.89 9.73
H -13.74 18.37 8.83
H -14.98 18.39 10.07
H -14.22 19.73 11.45
H -12.98 20.01 10.33
H -11.27 19.08 11.87
H -12.50 18.69 13.16
H -12.88 20.82 13.62
H -10.13 20.70 13.16
H -10.91 20.16 14.69

### Job
What is needed: set down the lines above from the one with "2.81" to the one with "2S+1:" word for word.

### Done
C 4.79 1.29 2.81
H 2.74 -3.33 -4.33
H 3.71 -2.51 -5.49
H 2.08 -2.79 -5.91
H 4.20 -1.08 -3.68
H 2.99 -1.68 -2.51
H 1.83 0.63 -2.66
H 3.18 0.97 -3.79
H 3.72 1.83 -1.79
H 3.17 -0.58 -0.23
H 2.30 0.81 -0.34
H 4.22 2.10 0.35
H 5.02 0.63 0.63
H 5.37 0.33 2.84
H 4.31 1.15 3.75
H 5.44 2.23 2.84
C -1.85 2.08 2.67
O -3.16 2.49 3.01
C -3.87 3.24 1.98
C -4.92 4.11 2.77
N -5.90 4.91 2.10
C -7.13 5.09 2.91
C -8.15 5.63 2.03
O -9.29 5.79 2.57
C -10.37 6.44 1.74
H -1.48 1.48 3.44
H -1.05 2.83 2.66
H -1.61 1.40 1.82
H -4.44 2.56 1.34
H -3.15 3.94 1.52
H -4.24 4.84 3.28
H -5.30 3.39 3.48
H -5.49 5.76 1.65
H -7.00 5.61 3.88
H -7.51 4.09 3.16
H -8.33 4.92 1.25
H -7.82 6.60 1.72
H -10.23 7.36 1.32
H -11.37 6.46 2.17
H -10.38 5.75 0.86
C -0.12 -1.23 2.52
C 1.16 -1.57 2.03
O 1.25 -2.94 1.71
H -0.81 -1.42 1.69
H -0.24 -0.09 2.66
H -0.44 -1.67 3.49
H 1.95 -1.29 2.82
H 1.32 -0.82 1.20
H 2.12 -3.12 1.45
C 0.00 1.99 -0.91
C -0.86 1.70 -2.01
O -2.17 1.36 -1.46
H -0.59 2.72 -0.33
H 0.90 2.42 -1.26
H 0.17 1.03 -0.42
H -0.39 1.01 -2.72
H -0.94 2.57 -2.69
H -2.88 2.00 -1.66
C -0.21 -1.78 -1.65
C 0.08 -3.23 -2.01
O -1.00 -3.88 -2.63
H -0.46 -1.66 -0.59
H -0.96 -1.35 -2.34
H 0.75 -1.31 -1.81
H 0.51 -3.78 -1.18
H 0.85 -3.24 -2.77
H -1.04 -4.79 -2.26
C -3.51 -0.33 0.71
C -4.28 -0.74 -0.48
O -3.47 -0.97 -1.56
O -4.29 -0.50 1.84
H -3.31 0.66 0.70
H -2.62 -0.93 0.96
H -4.91 0.12 -0.78
H -4.84 -1.63 -0.09
H -2.87 -0.25 -1.72
H -4.00 0.10 2.51
C 1.74 3.27 1.91
C 2.21 3.70 3.14
O 2.45 5.09 3.12
O 1.31 1.92 2.01
H 2.48 3.38 1.14
H 0.83 3.93 1.61
H 3.09 3.11 3.46
H 1.42 3.65 3.93
H 2.86 5.29 2.28
H 2.06 1.32 1.96
```

Computed properties:
- 2S+1: 1